• Given:
____________
The following is a quantum chemistry calculation of CH3NO3S3 as an isolated structure at a distorted geometry, from OMol25.

Structure (XYZ):
```
11
Properties=species:S:1:pos:R:3:forces:R:3:nbo_charge:R:1
C -1.423879 0.495050 -0.547448 -2.71 2.04 -0.15 -0.03
N 1.175064 -0.741233 1.169724 0.65 0.47 -0.60 -1.06
O -0.830161 -0.733933 -0.452337 0.37 0.40 -0.39 -0.69
O 1.311971 -1.679327 -1.092897 -0.01 -1.69 -1.34 -0.92
O 1.174984 0.695634 -0.886441 0.33 2.54 -0.86 -0.90
S -2.576339 0.970971 -1.633470 1.48 -1.15 0.75 0.05
S -0.982624 1.500408 0.817610 1.05 -2.66 1.73 0.13
S 0.773207 -0.556444 -0.453808 1.50 -2.84 1.91 2.49
H 0.632463 -1.464297 1.620979 -0.11 -0.23 -0.10 0.40
H 2.173568 -1.049889 1.096655 -1.13 0.33 0.40 0.41
H -1.428254 2.563060 0.361434 -1.41 2.80 -1.35 0.13
```
Forces are in eV/Å.

Output
largest force on an atom	3.7	eV/A
HOMO energy	-9.4	eV
electronic energy	-41221.8126	eV
relative energy (zero: lowest compared OMol25 entry of this formula, charge and spin)	21.86	kcal per mole



The following is a quantum chemistry calculation of one molecule with the formula CH3NO3Si at a distorted geometry, from OMol25.

Structure (XYZ):
```
9
Properties=species:S:1:pos:R:3:forces:R:3:nbo_charge:R:1
N -2.786747 0.087875 -1.024730 0.74 0.16 0.35 -0.41
C -1.697843 0.172994 -0.636069 2.21 -0.43 0.31 -0.18
Si 0.431228 0.030126 0.107251 -2.39 -0.12 -1.97 2.32
O 1.157969 1.460103 -0.231405 -0.26 -1.29 -0.10 -1.08
O 1.090591 -1.359217 -0.410092 -0.09 -1.24 -0.09 -1.15
O 0.121803 -0.039177 1.646866 2.24 -1.18 0.67 -1.10
H 1.430378 1.674467 -1.125686 0.02 0.01 -0.14 0.52
H 0.921711 -2.350780 -0.248287 0.07 2.89 -0.18 0.56
H -0.669091 0.323608 1.922153 -2.55 1.20 1.14 0.51
```
Forces are in eV/Å.

Output
SMILES	N#C[Si](O)(O)O
largest force on an atom	3.1	eV/A
HOMO energy	-11.6	eV
electronic energy	-16598.8180	eV
relative energy (zero: lowest compared OMol25 entry of this formula, charge and spin)	18.78	kcal per mole



The following is a quantum chemistry calculation of one molecule with the formula CH3NOP2S at a distorted geometry, from OMol25.

Structure (XYZ):
```
9
Properties=species:S:1:pos:R:3:forces:R:3:nbo_charge:R:1
C -0.645600 -0.980507 0.343404 -1.82 1.26 0.87 -0.18
N 0.456093 -1.515666 0.179729 1.37 -2.03 -0.22 -0.59
S 1.971390 -0.802928 0.361702 -0.15 1.21 -0.69 0.17
P 1.627798 1.114353 -0.515634 -0.10 1.09 4.11 0.75
O 0.192035 1.599347 0.445299 1.23 -0.18 -0.52 -1.08
P -1.161491 0.723871 0.834469 2.03 -0.18 0.30 0.91
H -1.534332 -1.612533 0.249127 0.05 -0.23 -0.16 0.19
H 0.895409 0.750772 -1.533528 -1.58 -1.30 -2.38 -0.09
H -1.801299 0.723294 -0.364566 -1.04 0.36 -1.30 -0.08
```
Forces are in eV/Å.

Output
SMILES	c1ns[pH]o[pH]1
largest force on an atom	4.3	eV/A
HOMO energy	-8.7	eV
electronic energy	-34034.9100	eV
relative energy (zero: lowest compared OMol25 entry of this formula, charge and spin)	37.46	kcal per mole



The following is a quantum chemistry calculation of a 2-piece molecular cluster, CH3NOS overall at a distorted geometry, from OMol25.

Structure (XYZ):
```
7
Properties=species:S:1:pos:R:3:forces:R:3:nbo_charge:R:1
C -0.528976 1.280320 -0.057820 4.38 1.10 2.16 0.25
N 0.361453 -1.103422 0.021950 1.09 -0.50 -1.48 -0.99
O -1.033469 2.350755 0.015440 -0.38 -1.15 -0.53 -0.52
S -0.877581 -0.275308 -0.783888 0.03 -0.97 0.54 0.43
H 0.840920 1.002770 0.543884 -3.47 0.73 -1.35 0.05
H 0.188205 -1.656781 0.837857 -0.75 -0.01 0.24 0.39
H 1.049447 -1.598334 -0.577422 -0.90 0.81 0.41 0.39
```
Forces are in eV/Å.

Output
largest force on an atom	5.0	eV/A
HOMO energy	-9.4	eV
electronic energy	-15456.4482	eV
relative energy (zero: lowest compared OMol25 entry of this formula, charge and spin)	54.44	kcal per mole



The following is a quantum chemistry calculation of a 2-piece molecular cluster, CH3NOS overall at a distorted geometry, from OMol25.

Structure (XYZ):
```
7
Properties=species:S:1:pos:R:3:forces:R:3:nbo_charge:R:1
C -0.460882 0.211462 0.421177 -2.83 2.56 1.79 -0.01
____________

• To do:
Your job: return the whole of the material earlier on unchanged.

• Written answer:
The following is a quantum chemistry calculation of CH3NO3S3 as an isolated structure at a distorted geometry, from OMol25.

Structure (XYZ):
```
11
Properties=species:S:1:pos:R:3:forces:R:3:nbo_charge:R:1
C -1.423879 0.495050 -0.547448 -2.71 2.04 -0.15 -0.03
N 1.175064 -0.741233 1.169724 0.65 0.47 -0.60 -1.06
O -0.830161 -0.733933 -0.452337 0.37 0.40 -0.39 -0.69
O 1.311971 -1.679327 -1.092897 -0.01 -1.69 -1.34 -0.92
O 1.174984 0.695634 -0.886441 0.33 2.54 -0.86 -0.90
S -2.576339 0.970971 -1.633470 1.48 -1.15 0.75 0.05
S -0.982624 1.500408 0.817610 1.05 -2.66 1.73 0.13
S 0.773207 -0.556444 -0.453808 1.50 -2.84 1.91 2.49
H 0.632463 -1.464297 1.620979 -0.11 -0.23 -0.10 0.40
H 2.173568 -1.049889 1.096655 -1.13 0.33 0.40 0.41
H -1.428254 2.563060 0.361434 -1.41 2.80 -1.35 0.13
```
Forces are in eV/Å.

Output
largest force on an atom	3.7	eV/A
HOMO energy	-9.4	eV
electronic energy	-41221.8126	eV
relative energy (zero: lowest compared OMol25 entry of this formula, charge and spin)	21.86	kcal per mole



The following is a quantum chemistry calculation of one molecule with the formula CH3NO3Si at a distorted geometry, from OMol25.

Structure (XYZ):
```
9
Properties=species:S:1:pos:R:3:forces:R:3:nbo_charge:R:1
N -2.786747 0.087875 -1.024730 0.74 0.16 0.35 -0.41
C -1.697843 0.172994 -0.636069 2.21 -0.43 0.31 -0.18
Si 0.431228 0.030126 0.107251 -2.39 -0.12 -1.97 2.32
O 1.157969 1.460103 -0.231405 -0.26 -1.29 -0.10 -1.08
O 1.090591 -1.359217 -0.410092 -0.09 -1.24 -0.09 -1.15
O 0.121803 -0.039177 1.646866 2.24 -1.18 0.67 -1.10
H 1.430378 1.674467 -1.125686 0.02 0.01 -0.14 0.52
H 0.921711 -2.350780 -0.248287 0.07 2.89 -0.18 0.56
H -0.669091 0.323608 1.922153 -2.55 1.20 1.14 0.51
```
Forces are in eV/Å.

Output
SMILES	N#C[Si](O)(O)O
largest force on an atom	3.1	eV/A
HOMO energy	-11.6	eV
electronic energy	-16598.8180	eV
relative energy (zero: lowest compared OMol25 entry of this formula, charge and spin)	18.78	kcal per mole



The following is a quantum chemistry calculation of one molecule with the formula CH3NOP2S at a distorted geometry, from OMol25.

Structure (XYZ):
```
9
Properties=species:S:1:pos:R:3:forces:R:3:nbo_charge:R:1
C -0.645600 -0.980507 0.343404 -1.82 1.26 0.87 -0.18
N 0.456093 -1.515666 0.179729 1.37 -2.03 -0.22 -0.59
S 1.971390 -0.802928 0.361702 -0.15 1.21 -0.69 0.17
P 1.627798 1.114353 -0.515634 -0.10 1.09 4.11 0.75
O 0.192035 1.599347 0.445299 1.23 -0.18 -0.52 -1.08
P -1.161491 0.723871 0.834469 2.03 -0.18 0.30 0.91
H -1.534332 -1.612533 0.249127 0.05 -0.23 -0.16 0.19
H 0.895409 0.750772 -1.533528 -1.58 -1.30 -2.38 -0.09
H -1.801299 0.723294 -0.364566 -1.04 0.36 -1.30 -0.08
```
Forces are in eV/Å.

Output
SMILES	c1ns[pH]o[pH]1
largest force on an atom	4.3	eV/A
HOMO energy	-8.7	eV
electronic energy	-34034.9100	eV
relative energy (zero: lowest compared OMol25 entry of this formula, charge and spin)	37.46	kcal per mole



The following is a quantum chemistry calculation of a 2-piece molecular cluster, CH3NOS overall at a distorted geometry, from OMol25.

Structure (XYZ):
```
7
Properties=species:S:1:pos:R:3:forces:R:3:nbo_charge:R:1
C -0.528976 1.280320 -0.057820 4.38 1.10 2.16 0.25
N 0.361453 -1.103422 0.021950 1.09 -0.50 -1.48 -0.99
O -1.033469 2.350755 0.015440 -0.38 -1.15 -0.53 -0.52
S -0.877581 -0.275308 -0.783888 0.03 -0.97 0.54 0.43
H 0.840920 1.002770 0.543884 -3.47 0.73 -1.35 0.05
H 0.188205 -1.656781 0.837857 -0.75 -0.01 0.24 0.39
H 1.049447 -1.598334 -0.577422 -0.90 0.81 0.41 0.39
```
Forces are in eV/Å.

Output
largest force on an atom	5.0	eV/A
HOMO energy	-9.4	eV
electronic energy	-15456.4482	eV
relative energy (zero: lowest compared OMol25 entry of this formula, charge and spin)	54.44	kcal per mole



The following is a quantum chemistry calculation of a 2-piece molecular cluster, CH3NOS overall at a distorted geometry, from OMol25.

Structure (XYZ):
```
7
Properties=species:S:1:pos:R:3:forces:R:3:nbo_charge:R:1
C -0.460882 0.211462 0.421177 -2.83 2.56 1.79 -0.01